Our Partners include: Graan SA Radio, BKT, Omnia Boereplanne Kompetisie, GL Events South Africa, Agritechnica, Expoagro, TicketPro and Harambee Hotel.The growing number of exhibitors at the NAMPO Cape Agricultural Trade Show can be attributed to a number of factors. Calendar GoogleCal. Are you an exhibitor at the NAMPO Cape Agriculture Expo? Farmers, corporates, organised agriculture and government – the Park provides the platform for you to connect with each other. Read More Boereplanne was vanjaar vir die eerste keer by NAMPO Kaap / Cape aangebied en van al die kategoriewenners het mnr.
Landbouflits: Nampo, Nampo Kaap tot 2021 uitgestel 31 Julie 2020 05:01 Twee van die grootste gebeurtenisse op die landboukalender, Nampo-oesdag en Nampo Kaap, moes vanjaar noodgedwonge uitgestel word vanweë die Covid-19-pandemie en die gevolglike beperking op massabyeenkomste. september 9 (Wednesday) - 11 (Friday) Learn More. See how these Jersey cows provide milk to a nation.Bredasdorp Park hosts farming and other events throughout the year. And we work with partners and service providers to offer a professional and well-run venue.This venue is for the Overberg community and agriculture sector, and therefore run by the Overberg community.Keep up to date on all the news and events taking place at Bredasdorp Park. Time. Die bywoning van die tweede Nampo Kaap het organiseerders se verwagtinge oortref met altesaam 20 150 besoekers teenoor 16 245 besoekers verlede jaar. Here producers learn about the latest agricultural technology, livestock farming, enjoy demonstrations and much more.september 9 (Wednesday) - 11 (Friday)Other events that take place throughout the year at Bredasdorp Park include:“Meer as twee dekades terug het ons ons eerste landbou saamtrek hier in Bredasdorp gehou, onderleiding van die oorlede Niel Giliomee. Nampo Kaap; Select Page. André Kirsten van Darling se slim plan om rooikatte van sy skaapkudde weg te hou, die kollig gesteel! Ons bring die landboubedryf bymekaar, om saam vorentoe te boer.”november 5 (Thursday) - 7 (Saturday)Our local pony riding school in the Overberg, provides basic horse riding lessons at Bredasdorp Park. We are proud partners of Grain SA & NAMPO. This event serves as a gathering place for partners in agriculture. The management of NAMPO Kaap / Cape, Bredasdorp Park NPC, after discussions with partners Grain SA, the authorities and stakeholders decided to cancel NAMPO Cape 2020.
Foremost is the positive sales reaction experienced at the Show. Lewendehawe-ekspo’s en -skoue biosekuriteit protokol; NAMPO Cape 2019 exceeds expectations;
Attached: data records:
____________
1.
78
Properties=species:S:1:pos:R:3 method="wB97M-V/def2-TZVPD" charge=0 lumo_ev=-1.02 homo_ev=-5.1311 gap_ev=4.107 spin_multiplicity=1
C 2.60 -5.66 3.02
B 3.67 -4.84 2.06
O 3.05 -4.92 0.67
C 2.81 -3.58 0.31
C 2.72 -2.84 1.68
C 2.70 -1.33 1.43
C 1.31 -0.67 1.69
C 0.56 -0.28 0.40
S -0.68 -1.46 -0.22
C -1.17 -2.54 1.14
S -0.47 -3.99 1.24
N -2.13 -2.11 2.11
C -3.38 -2.86 2.10
C -4.22 -2.64 3.17
C -5.41 -3.31 3.29
C -5.78 -4.23 2.34
C -4.96 -4.42 1.26
C -3.77 -3.75 1.13
C -2.41 -0.68 2.05
C -1.83 0.11 3.01
C -2.04 1.47 3.05
C -2.83 2.06 2.10
C -3.43 1.28 1.13
C -3.23 -0.08 1.11
O 3.85 -3.38 2.32
H 1.76 -5.05 3.38
H 3.06 -6.15 3.90
H 2.14 -6.45 2.42
H 4.69 -5.52 2.01
H 3.80 -3.25 -0.06
H 2.00 -3.39 -0.42
H 1.88 -3.09 2.36
H 3.07 -1.06 0.43
H 3.40 -0.87 2.14
H 1.55 0.27 2.21
H 0.72 -1.26 2.40
H 1.32 -0.21 -0.38
H 0.16 0.74 0.53
H -3.96 -1.93 3.95
H -6.04 -3.11 4.15
H -6.70 -4.80 2.42
H -5.23 -5.14 0.49
H -3.13 -3.94 0.28
H -1.19 -0.36 3.75
H -1.58 2.06 3.84
H -3.01 3.13 2.10
H -4.07 1.70 0.35
H -3.72 -0.69 0.36
C 0.02 0.50 -3.22
C 0.76 1.41 -4.19
C 1.96 2.13 -3.57
C 1.78 2.76 -2.19
N 1.08 4.11 -2.07
C 2.09 5.23 -1.96
C 2.45 5.55 -3.40
C 1.16 5.28 -4.20
C 0.23 4.55 -3.23
C 0.25 4.07 -0.82
H -0.38 1.05 -2.37
H -0.82 0.02 -3.71
H 0.68 -0.28 -2.85
H 0.05 2.11 -4.65
H 1.13 0.81 -5.03
H 2.38 2.84 -4.28
H 2.74 1.37 -3.43
H 2.76 2.89 -1.74
H 1.26 2.07 -1.53
H 1.58 6.08 -1.50
H 2.93 4.93 -1.34
H 3.25 4.89 -3.75
H 2.81 6.57 -3.52
H 1.36 4.70 -5.09
H 0.70 6.21 -4.53
H -0.32 3.72 -3.64
H -0.50 5.26 -2.83
H 0.89 3.84 0.02
H -0.52 3.31 -0.94
H -0.22 5.05 -0.68

---

2.
82
Properties=species:S:1:pos:R:3 method="wB97M-V/def2-TZVPD" charge=-1 lumo_ev="2.45 / 2.45" homo_ev="-4.1621 / -4.1661" gap_ev="6.611 / 6.615" s2=0.7510 relative_energy_kcal_mol=6.7 spin_multiplicity=2
Ce -0.93 0.05 0.52
C -3.55 -1.87 3.01
N -2.45 -2.16 2.04
C -1.25 -2.78 2.71
C -0.49 -1.80 3.59
N 0.55 -1.01 2.87
C 1.65 -1.94 2.60
C 0.86 0.25 3.56
C 2.18 0.59 3.87
C 2.66 1.88 3.71
C 1.76 2.94 3.50
C 0.45 2.69 3.41
C -0.09 1.34 3.49
S -1.81 1.15 3.19
C -2.89 -2.64 0.79
C -2.57 -3.87 0.23
C -3.15 -4.38 -0.93
C -4.12 -3.63 -1.61
C -4.47 -2.37 -1.07
C -3.82 -1.84 0.06
S -4.02 -0.16 0.36
H -3.84 -0.78 3.07
H -3.19 -2.13 4.02
H -4.42 -2.53 2.80
H -0.62 -3.12 1.95
H -1.61 -3.65 3.33
H -0.01 -2.37 4.44
H -1.22 -1.08 4.07
H 2.06 -2.46 3.46
H 2.53 -1.41 2.14
H 1.24 -2.73 1.86
H 2.93 -0.18 4.03
H 3.76 2.05 3.63
H 2.13 3.92 3.52
H -0.20 3.52 3.15
H -1.72 -4.50 0.69
H -2.76 -5.30 -1.33
H -4.55 -3.96 -2.57
H -5.23 -1.74 -1.51
C -0.58 3.16 -1.76
C -1.39 4.21 -2.56
N -2.88 4.09 -2.35
C -3.06 4.25 -0.84
C -2.30 3.15 -0.13
N -1.52 2.21 -1.02
C -2.37 1.63 -2.09
C -3.30 2.69 -2.72
H 0.13 3.67 -1.05
H 0.07 2.56 -2.38
H -1.22 4.00 -3.63
H -1.10 5.28 -2.26
H -4.10 4.14 -0.52
H -2.73 5.24 -0.53
H -3.04 2.55 0.37
H -1.56 3.55 0.60
H -2.89 0.81 -1.57
H -1.71 1.16 -2.83
H -4.39 2.47 -2.58
H -3.25 2.57 -3.77
O 2.46 0.10 -1.31
C 2.27 0.77 -0.25
O 1.05 1.07 0.20
H 3.13 1.11 0.46
C 6.45 -1.55 -4.11
Sb 4.82 -0.70 -2.75
____________
09sepallday 11 Nampo Kaap 2020.
Bredasdorp Park brings people in agriculture together. Another is the unique demonstration programme that allows interactive demonstrations on stands in addition to the static exhibits. Search for: Recent Posts. All agricultural input suppliers include; agricultural machinery, irrigation, chemicals, transport, fertiliser and seed, extension services, commercial sectors, utilities, feed manufacturers, financial institutions and livestock breeders.Die bywoning van die tweede Nampo Kaap het organiseerders se verwagtinge oortref met altesaam 20 150 besoekers teenoor 16 245 besoekers verlede jaar.Boereplanne was vanjaar vir die eerste keer by NAMPO Kaap / Cape aangebied en van al die kategoriewenners het mnr. The final decision regarding the NAMPO Cape Agricultural Show would have initially been announced at the end of July with the hope of a better indication of the COVID-19 pandemic and the consequences for mass events. Feel free to contact us if you have any enquiries. This innovative club introduces children to horses – encouraging both the children and the horses to simply have fun.The Overberg’s Agricultural Meeting PlaceDie aanbieders en organiseerders van ses van Suid-Afrika se grootste lewendehawegeleenthede, het hulself gesamentlik verbind tot ’n wetenskaplikgebaseerde biosekuriteitsprotokol vir die aanbied van die onderskeie geleenthede in 2020, asook in die toekomsWe are proud partners of Grain SA & NAMPO.Visit the club, and become a dairy farmer for a day. Bredasdorp Park is in the heart of the Overberg in South Africa and offers exhibition space, function venues, training facilities and much more.Using Bredasdorp Park’s facilities and services, from 9 to 11 September 2020, we showcase our platform as South Africa’s agricultural market place, networking space and information provider. The home of NAMPO Cape In September 2020, Bredasdorp Park will once again host one of the biggest agricultural trade shows in South Africa: NAMPO Cape. september, 2020. Nou, 25 jaar later, bly Bredasdorp Park steeds die tuiste vir landbou-uitstallings in die Wes Kaap.